How can press contribute to fighting corruption? [Archives:2007/1086/Opinion]

September 17 2007

Mohammed Al-Ariqi
Chairman of the National Anti-Corruption Authority Ahmad Al-Anisi said in a statement published by 26 September Weekly a couple of weeks ago that press will be one of the sources and references that help in exposing corruption and corrupt individuals. He set a condition that press should play an integral role in resolving such a phenomenon in light of authentic and correct facts without any fabrications or invented facts.

_Between two parts of the entry: records of crystals_
********
Entry from Alexandria via LeMat-Bulk: a geometry-optimized TcRh5 structure (PBEsol).

The structure in POSCAR format:
```
TcRh5
1.0
2.670 0.000 0.000
0.000 2.670 0.000
0.000 0.000 11.357
Tc Rh
1 5
direct
0.000 0.000 0.000
0.000 0.000 0.336
0.000 0.000 0.664
0.500 0.500 0.164
0.500 0.500 0.500
0.500 0.500 0.836
```

As for the formation energy from the elements: -54 meV per atom. The value obtained for the volume is 81.0 Å³ per cell.

=====

#i
Here is crystalline HI2Cl at its relaxed geometry from Alexandria. Energies are from GGA-PBE.

Cell: 5.9538 5.9721 6.1946 Å, 115.75 131.23 82.15°
With the nearest neighbours (Å) after each atom.
Element x y z (fractional)
H1 0.5000 0.2500 0.7500  2 I 1.94
Cl1 0.5000 0.7500 0.2500  2 I 2.81
I1 0.1660 0.4241 0.5900  1 H 1.94
I2 0.8340 0.0758 0.9100  1 H 1.94

SG: P-1, No. 2
spin magnetization: 0.000 μB per formula unit

***

#ii
Here is crystalline HI2Cl at its relaxed geometry from Alexandria. Energies are from GGA-PBE.

Cell: 5.8185 5.8185 7.9939 Å, 68.66 68.66 90.00°
With the nearest neighbours (Å) after each atom.
Element x y z (fractional)
H1 0.2500 0.7500 0.5000  4 I 2.30
I1 0.2950 0.6250 0.2500  2 H 2.30
Cl1 0.0000 0.0000 0.0000  4 I 3.32
I2 0.8750 0.7050 0.7500  2 H 2.30
Cl2 0.7500 0.2500 0.5000  4 I 3.32
I3 0.4550 0.1250 0.2500  2 H 2.30
I4 0.3750 0.5450 0.7500  2 H 2.30
H2 0.5000 0.5000 0.0000  4 I 2.30

SG: I-42d, No. 122
spin magnetization: 0.000 μB per formula unit

***

Which structure is most stable, and how do the rest compare? From most to least stable: #i, #ii.

***

#i
Here is crystalline H2ICl at its relaxed geometry from Alexandria. Energies are from GGA-PBE.

Cell: 4.3546 4.3546 4.3546 Å, 60.00 60.00 60.00°
With the nearest neighbours (Å) after each atom.
Element x y z (fractional)
H1 0.7500 0.7500 0.7500  4 Cl 2.67, 4 I 2.67
I1 0.5000 0.5000 0.5000  8 H 2.67
Cl1 0.0000 0.0000 0.0000  8 H 2.67
H2 0.2500 0.2500 0.2500  4 I 2.67, 4 Cl 2.67

SG: Fm-3m, No. 225
spin magnetization: 0.000 μB per formula unit

***

#ii
Here is crystalline H2ICl at its relaxed geometry from Alexandria. Energies are from GGA-PBE.

Cell: 3.6731 7.6166 8.5873 Å, 89.65 90.00 103.95°
With the nearest neighbours (Å) after each atom.
Element x y z (fractional)
I1 0.1334 0.2667 0.8448  2 H 1.94
H1 0.3894 0.7789 0.2150  2 I 1.94
H2 0.7009 0.4018 0.3074  1 Cl 1.30
Cl1 0.6204 0.2409 0.3684  1 H 1.30
I2 0.8666 0.7333 0.1552  2 H 1.94
H3 0.2991 0.5982 0.6926  1 Cl 1.30
Cl2 0.3796 0.7591 0.6316  1 H 1.30
H4 0.6106 0.2211 0.7850  2 I 1.94

SG: C2/m, No. 12
spin magnetization: 0.000 μB per formula unit

***

#iii
Here is crystalline H2ICl at its relaxed geometry from Alexandria. Energies are from GGA-PBE.

Cell: 3.8999 3.8999 6.1972 Å, 71.66 71.66 60.00°
With the nearest neighbours (Å) after each atom.
Element x y z (fractional)
H1 0.9124 0.9124 0.2628  1 Cl 1.52
Cl1 0.0000 0.0000 0.0000  2 H 1.52
I1 0.5000 0.5000 0.5000  6 H 2.64
H2 0.0876 0.0876 0.7372  1 Cl 1.52

SG: R-3m, No. 166
********

Having something to do with press's role in fighting corruption, such a vision, which is revealed by Chairman of the National Anti-corruption Authority, necessitates that press and pressmen in particular should review and assess their professional performance over the past time period. Then it entails that press and pressmen have to prepare themselves for a new phase with much more seriousness and professionalism, as well as abide by the criteria of moral and social responsibility, within the frame of which any professional journalist works, in order for journalism to remain genuine, highly respected and maintain its prestigious status.

Recently, much of our media-related discussions have involved multiple questions about the role, which journalism, as a fourth authority, should play in resolving community's issues and contributing to reforming any infringements that usually hold up progress of administrative and economic development. The fourth authority is also expected to play a greater role in enlightening peoples' minds, spreading their awareness, enriching readership with knowledge and new information, and conveying news and facts to readers honestly and objectively.

Some people had been insisting on their black vision toward the reality of journalism in Yemen and its future, as it is often said that what the press publishes is merely ink on papers and has nothing to do with any agencies and channels concerned with surveying and resolving daily issues. They are of the opinion that the press has no effective influence on government's executive bodies. They say that the press is needed to contribute to convincing government's agencies how significant effective laws are in tackling any social and political issues.

After Chairman of the National Anti-Corruption Authority declared that press can function as a reference, as well as an approach to detecting corruption cases, we then pin a greater hope that what the press publishes, specifically any articles criticizing corruption and performance of government agencies, be looked at seriously while credibility and objectivity of its content must be verified.

Based on such a great responsibility, NACA won't accept any use of journalism as a means to confuse its work and slander others without any credible and authentic facts. Any journalist, who once resorted to reporting incorrect stories with the purpose of defamation, must be treated like any corrupt individual against whom NACA may take tough procedures for his involvement in any embezzlement of public money or extortion.

At this point, I would like to remind the esteemed readership of the significance of understating the new role of journalism that requires professionalism and abidance by the criteria of credibility and objectivity in reporting facts. While reporting what happens, journalists must not be submissive to any pressures they may face. At this phase, a journalist must be honest in what he/she says, report genuine facts, and defend people's interests and the national tenets.

Source: Al-Thawra State-run Daily.